= TweetStream
TweetStream provides simple Ruby access to Twitter's Streaming API
== Installation
The TweetStream gem is available on GitHub and Gemcutter. To get the
latest gem from GitHub:
gem sources -a http://gems.github.com/
gem install intridea-tweetstream
To install from Gemcutter:
gem sources -a http://gemcutter.org/
gem install tweetstream
== Usage
Using TweetStream is quite simple:
require 'rubygems'
require 'tweetstream'
# This will pull a sample of all tweets based on
# your Twitter account's Streaming API role.
TweetStream::Client.new('username','password').sample do |status|
# The status object is a special Hash with
# method access to its keys.
puts "#{status.text}"
You can also use it to track keywords or follow a given set of
user ids:
Use 'track' to track a list of single-word keywords
TweetStream::Client.new('username','password').track('term1', 'term2') do |status|
puts "#{status.text}"
Use 'follow' to follow a group of user ids (integers, not screen names)
TweetStream::Client.new('username','password').follow(14252, 53235) do |status|
puts "#{status.text}"
The methods available to TweetStream::Client will be kept in parity
with the methods available on the Streaming API wiki page.
== Handling Deletes and Rate Limitations
Sometimes the Streaming API will send messages other than statuses.
Specifically, it does so when a status is deleted or rate limitations
have caused some tweets not to appear in the stream. To handle these,
- - -
(1)
The following is a calculated X-ray diffraction stick pattern of ZrTcW. It was derived from a cell relaxed with PBE, using Cu Kα, 1.54184 Å.

Top 10 peaks for 5 to 70 degrees two-theta, sorted by position:
2θ (°)  I_rel  h k l
20.22  55  0 1 1
33.75  21  1 1 2
38.94  45  1 2 1
39.38  100  2 1 1
40.23  45  0 1 3
40.37  22  1 0 3
41.10  59  0 2 2
41.66  53  2 0 2
62.94  25  2 3 1
63.50  22  0 3 3

Atomic structure:
```
data_ZrTcW
_chemical_formula_sum 'Zr4 Tc4 W4'
_cell_length_a 5.3615
_cell_length_b 5.4685
_cell_length_c 7.3727
_cell_angle_alpha 90.00
_cell_angle_beta 90.00
_cell_angle_gamma 90.00
_symmetry_space_group_name_H-M 'I m m a'
_symmetry_Int_Tables_number 74
_symmetry_space_group_name_Hall '-I 2b 2'
loop_
_atom_site_label
_atom_site_fract_x
_atom_site_fract_y
_atom_site_fract_z
Zr1 0.0000 0.2500 0.1286
Tc1 0.0000 0.0000 0.5000
W1 0.2500 0.2500 0.7500
```

(2)
The following is a calculated X-ray diffraction stick pattern of LiTb2SmCd4. It was derived from a cell relaxed with PBE, using Cu Kα, 1.54184 Å.

Top 10 peaks for 5 to 70 degrees two-theta, sorted by position:
2θ (°)  I_rel  h k l
10.27  7  0 0 3
19.93  9  1 0 1
20.81  9  0 1 2
26.18  10  0 1 5
34.10  98  0 1 8
34.35  100  1 1 0
49.18  35  2 0 8
60.88  16  1 0 16
61.36  35  1 2 8
61.52  18  3 0 0

Atomic structure:
```
data_LiTb2SmCd4
_chemical_formula_sum 'Li3 Tb6 Sm3 Cd12'
_cell_length_a 5.2217
_cell_length_b 5.2217
_cell_length_c 25.8522
_cell_angle_alpha 90.00
_cell_angle_beta 90.00
_cell_angle_gamma 120.00
_symmetry_space_group_name_H-M 'R -3 m'
_symmetry_Int_Tables_number 166
_symmetry_space_group_name_Hall '-R 3 2"'
loop_
_atom_site_label
_atom_site_fract_x
_atom_site_fract_y
_atom_site_fract_z
Li1 0.0000 0.0000 0.0000
Tb1 0.0000 0.0000 0.2523
Sm1 0.0000 0.0000 0.5000
Cd1 0.0000 0.0000 0.1183
Cd2 0.0000 0.0000 0.3731
```

(3)
The following is a calculated X-ray diffraction stick pattern of La3CeTl4S8. It was derived from a cell relaxed with PBE, using Cu Kα, 1.54184 Å.

Top 10 peaks for 5 to 70 degrees two-theta, sorted by position:
2θ (°)  I_rel  h k l
23.91  26  0 0 6
25.38  62  2 0 2
28.97  100  0 2 4
40.49  37  2 0 8
42.34  36  2 2 0
47.57  15  0 2 10
49.21  24  2 2 6
52.12  19  4 0 4
66.68  15  2 2 12
69.32  16  2 4 4

Atomic structure:
```
data_La3CeTl4S8
_chemical_formula_sum 'La9 Ce3 Tl12 S24'
_cell_length_a 8.5385
_cell_length_b 8.5385
_cell_length_c 22.3304
_cell_angle_alpha 90.00
_cell_angle_beta 90.00
_cell_angle_gamma 120.00
_symmetry_space_group_name_H-M 'R -3 m'
_symmetry_Int_Tables_number 166
_symmetry_space_group_name_Hall '-R 3 2"'
loop_
_atom_site_label
_atom_site_fract_x
_atom_site_fract_y
_atom_site_fract_z
La1 0.0000 0.5000 0.0000
Ce1 0.0000 0.0000 0.0000
Tl1 0.0000 0.0000 0.5000
Tl2 0.0000 0.5000 0.5000
S1 0.0000 0.0000 0.2652
S2 0.0037 0.5018 0.7345
```

(4)
The following is a calculated X-ray diffraction stick pattern of YSi7. It was derived from a cell relaxed with PBE, using Cu Kα, 1.54184 Å.
- - -
you can use the on_delete and on_limit methods. Example:
@client = TweetStream::Client.new('user','pass')
@client.on_delete do |status_id, user_id|
@client.on_limit do |skip_count|
# do something
The on_delete and on_limit methods can also be chained, like so:
TweetStream::Client.new('user','pass').on_delete{ |status_id, user_id|
}.on_limit { |skip_count|
# do something
Unrelated to this text: data records =
Diffraction record for LiMnO2. The X-ray powder pattern is computed, not measured: it uses a structure optimized by DFT (GGA+U) and Cu Kα, 1.54184 Å.

Main lines, by angle (2θ = 10–80°):
- 17.2 deg, 5.153 Å, I = 100.0
- 31.8 deg, 2.810 Å, I = 12.4
- 35.0 deg, 2.560 Å, I = 44.9
- 38.7 deg, 2.329 Å, I = 7.0
- 39.9 deg, 2.258 Å, I = 37.7
- 45.7 deg, 1.985 Å, I = 11.7
- 49.2 deg, 1.852 Å, I = 10.9
- 51.3 deg, 1.782 Å, I = 20.5
- 58.7 deg, 1.572 Å, I = 6.9
- 64.1 deg, 1.453 Å, I = 10.2

Cell and atoms:
Cell lengths 2.8759, 3.1617, 5.1718 Å; angles 94.34, 90.01, 116.86 degrees
Atoms (fractional coordinates):
Li 0.0000 0.0000 0.0000
Mn 0.3213 0.6439 0.4402
O 0.6946 0.3912 0.2016
O 0.9842 0.9675 0.6330



Diffraction record for LiFe4P3O12. The X-ray powder pattern is computed, not measured: it uses a structure optimized by DFT (GGA+U) and Cu Kα, 1.54184 Å.

Main lines, by angle (2θ = 10–80°):
- 10.6 deg, 8.337 Å, I = 34.0
- 13.5 deg, 6.558 Å, I = 33.7
- 25.7 deg, 3.472 Å, I = 59.0
- 28.3 deg, 3.158 Å, I = 100.0
- 29.9 deg, 2.991 Å, I = 24.4
- 31.9 deg, 2.803 Å, I = 99.6
- 33.2 deg, 2.700 Å, I = 22.6
- 34.2 deg, 2.624 Å, I = 30.3
- 42.2 deg, 2.143 Å, I = 20.2
- 54.9 deg, 1.672 Å, I = 23.6

Cell and atoms:
Cell lengths 8.8523, 8.8523, 6.5869 Å; angles 106.33, 106.33, 95.60 degrees
Atoms (fractional coordinates):
Li 0.0069 0.9931 0.7500
Li 0.9931 0.0069 0.2500
Fe 0.0559 0.3676 0.1257
Fe 0.2673 0.7327 0.7500
Fe 0.3676 0.0559 0.6257
Fe 0.4994 0.5006 0.7500
Fe 0.5006 0.4994 0.2500
Fe 0.6324 0.9441 0.3743
Fe 0.7327 0.2673 0.2500
Fe 0.9441 0.6324 0.8743
P 0.1112 0.3309 0.6183
P 0.2944 0.7056 0.2500
P 0.3309 0.1112 0.1183
P 0.6691 0.8888 0.8817
P 0.7056 0.2944 0.7500
P 0.8888 0.6691 0.3817
O 0.0101 0.6816 0.6130
O 0.0403 0.3929 0.8076
O 0.1490 0.1608 0.5958
O 0.1608 0.1490 0.0958
O 0.1934 0.7345 0.0368
O 0.2628 0.4630 0.6655
O 0.2655 0.8066 0.4632
O 0.2715 0.5256 0.2429
O 0.3184 0.9899 0.8870
O 0.3929 0.0403 0.3076
O 0.4630 0.2628 0.1655
O 0.4743 0.7285 0.2571
O 0.5257 0.2715 0.7429
O 0.5370 0.7372 0.8345
O 0.6071 0.9597 0.6924
O 0.6816 0.0101 0.1130
O 0.7285 0.4743 0.7571
O 0.7345 0.1934 0.5368
O 0.7372 0.5370 0.3345
O 0.8066 0.2655 0.9632
O 0.8392 0.8510 0.9042
O 0.8510 0.8392 0.4042
O 0.9597 0.6071 0.1924
O 0.9899 0.3184 0.3870



Diffraction record for LiFeF4. The X-ray powder pattern is computed, not measured: it uses a structure optimized by DFT (GGA+U) and Cu Kα, 1.54184 Å.

Main lines, by angle (2θ = 10–80°):
- 19.6 deg, 4.530 Å, I = 100.0
- 29.7 deg, 3.008 Å, I = 21.7
- 30.0 deg, 2.976 Å, I = 77.9
- 40.9 deg, 2.206 Å, I = 44.8
- 41.7 deg, 2.168 Å, I = 18.9
- 47.6 deg, 1.909 Å, I = 18.3
- 48.8 deg, 1.865 Å, I = 27.0
- 52.4 deg, 1.746 Å, I = 32.6
- 61.6 deg, 1.506 Å, I = 18.5
- 77.4 deg, 1.233 Å, I = 15.5

Cell and atoms:
Cell lengths 6.6762, 6.6762, 6.6762 Å; angles 136.59, 136.59, 63.07 degrees
Atoms (fractional coordinates):
Li 0.3750 0.1250 0.2500
Li 0.6250 0.8750 0.7500
Fe 0.1250 0.3750 0.7500
Fe 0.8750 0.6250 0.2500
F 0.0668 0.7851 0.7405
}.track('intridea') do |status|
# do something with the status like normal
You can also provide :delete and/or :limit
options when you make your method call:
:delete => Proc.new{ |status_id, user_id| # do something },
:limit => Proc.new{ |skip_count| # do something }
) do |status
# do something with the status like normal
Twitter recommends honoring deletions as quickly as possible, and
you would likely be wise to integrate this functionality into your
== Daemonizing
It is also possible to create a daemonized script quite easily
(Misplaced data records)
********
(1)
# PmSmO3
Simulated powder XRD pattern, copper Kα. Input: a crystal structure in Alexandria, relaxed with PBE.
Kinematic intensities with the Lorentz-polarization factor, no thermal factor.

Top 10 peaks for 10° ≤ 2θ ≤ 80°, most intense first:
- 2θ = 27.6°, I 100.0
- 2θ = 30.7°, I 93.0
- 2θ = 44.9°, I 46.6
- 2θ = 41.8°, I 38.4
- 2θ = 52.8°, I 37.5
- 2θ = 54.7°, I 26.3
- 2θ = 20.5°, I 24.1
- 2θ = 57.7°, I 17.5
- 2θ = 75.3°, I 14.7
- 2θ = 71.1°, I 13.3

Structural model:
```
data_PmSmO3
_chemical_formula_sum 'Pm6 Sm6 O18'
_cell_length_a 5.8170
_cell_length_b 5.8170
_cell_length_c 16.8469
_cell_angle_alpha 90.00
_cell_angle_beta 90.00
_cell_angle_gamma 120.00
_symmetry_space_group_name_H-M 'R 3 2'
_symmetry_Int_Tables_number 155
_symmetry_space_group_name_Hall 'R 3 2"'
loop_
_atom_site_label
_atom_site_fract_x
_atom_site_fract_y
_atom_site_fract_z
_atom_site_occupancy
Pm1 0.0000 0.0000 0.1451 1
Sm1 0.0000 0.0000 0.3539 1
O1 0.0024 0.2926 0.2502 1
```



(2)
# Pm3SmO6
Simulated powder XRD pattern, copper Kα. Input: a crystal structure in Alexandria, relaxed with PBE.
Kinematic intensities with the Lorentz-polarization factor, no thermal factor.

Top 10 peaks for 10° ≤ 2θ ≤ 80°, most intense first:
- 2θ = 28.3°, I 100.0
- 2θ = 31.3°, I 84.5
- 2θ = 29.0°, I 46.3
- 2θ = 25.6°, I 42.2
- 2θ = 48.2°, I 39.1
- 2θ = 22.7°, I 36.0
- 2θ = 41.3°, I 31.6
- 2θ = 50.1°, I 26.9
- 2θ = 31.0°, I 21.0
- 2θ = 40.6°, I 20.5

Structural model:
```
data_Pm3SmO6
_chemical_formula_sum 'Pm18 Sm6 O36'
_cell_length_a 9.9925
_cell_length_b 9.9925
_cell_length_c 11.7415
_cell_angle_alpha 90.00
_cell_angle_beta 90.00
_cell_angle_gamma 120.00
_symmetry_space_group_name_H-M 'R -3'
_symmetry_Int_Tables_number 148
_symmetry_space_group_name_Hall '-R 3'
loop_
_atom_site_label
_atom_site_fract_x
_atom_site_fract_y
_atom_site_fract_z
_atom_site_occupancy
Pm1 0.0379 0.2652 0.2107 1
Sm1 0.0000 0.0000 0.0000 1
Sm2 0.0000 0.0000 0.5000 1
O1 0.0273 0.2194 0.4042 1
O2 0.0280 0.1870 0.8697 1
```



(3)
# PmSm2TaO8
Simulated powder XRD pattern, copper Kα. Input: a crystal structure in Alexandria, relaxed with PBE.
Kinematic intensities with the Lorentz-polarization factor, no thermal factor.

Top 10 peaks for 10° ≤ 2θ ≤ 80°, most intense first:
- 2θ = 28.4°, I 100.0
- 2θ = 28.6°, I 98.8
- 2θ = 47.1°, I 69.2
- 2θ = 33.4°, I 41.4
- 2θ = 56.6°, I 29.7
- 2θ = 57.0°, I 28.4
- 2θ = 32.2°, I 22.5
- 2θ = 47.7°, I 17.2
- 2θ = 55.1°, I 15.9
- 2θ = 55.3°, I 15.6

Structural model:
```
data_PmSm2TaO8
_chemical_formula_sum 'Pm1 Sm2 Ta1 O8'
_cell_length_a 3.8147
_cell_length_b 5.5550
_cell_length_c 7.5376
_cell_angle_alpha 90.00
_cell_angle_beta 90.06
_cell_angle_gamma 90.00
_symmetry_space_group_name_H-M 'P 1 2/m 1'
_symmetry_Int_Tables_number 10
loop_
_symmetry_equiv_pos_as_xyz
'x,y,z'
'-x,-y,-z'
'-x,y,-z'
'x,-y,z'
loop_
_atom_site_label
_atom_site_fract_x
_atom_site_fract_y
_atom_site_fract_z
_atom_site_occupancy
Pm1 0.0000 0.0000 0.0000 1
Sm1 0.5002 0.5000 0.2499 1
Ta1 0.0000 0.0000 0.5000 1
********
using the TweetStream library:
The third argument is an optional process name
TweetStream::Client.new('username','password', 'tracker').track('term1', 'term2') do |status|
# do something in the background
If you put the above into a script and run the script with ruby scriptname.rb, you will see a list of daemonization commands such
as start, stop, and run.
== Note on Patches/Pull Requests
- Fork the project.
- Make your feature addition or bug fix.
- Add tests for it. This is important so I don't break it in a future version unintentionally.
- Commit, do not mess with rakefile, version, or history. (if you want to have your own version, that is fine but bump version in a commit by itself I can ignore when I pull)
- Send me a pull request. Bonus points for topic branches.
== Contributors
- Michael Bleigh (initial gem)
== Copyright
Copyright (c) 2009 Intridea, Inc. (http://www.intridea.com/). See LICENSE for details.